Testing: SFS Oral Proficiency, Placement, Native Speaker

  • The Placement Test and the Validation Tests differ in substantial ways. The Placement test has been designed for students who have never taken Spanish at Georgetown. It is administered online and it can only be taken once. The Spanish Validation Exam (also known as the Confirmation Exam, NSO placement exam, or proctored exam) is a proctored test, administered twice a year, right before the fall and spring semesters begin. The Validation Exam can not be used as a placement exam, it is primarily for those students who need to demonstrate a certain level of proficiency in Spanish for reasons other than placement in a language course, for example, to fulfill the language requirement, or to advance in the sequence after taking courses at other institutions during the summer. Both tests evaluate vocabulary and grammar in context as well as reading skills, but not oral skills. This point is important for students in the SFS who must pass the Oral Proficiency Test to graduate. Please write ONE email addressed to BOTH Dr. Anne Thinglum and Dr. Tatevik Gevorgyan with any questions regarding the exam.

  • Please visit the Undergraduate Bulletin for a full listing of advanced credit policies.
  • (AP) Spanish (either exam) – For a score of 4 or 5, students are eligible to receive up to six credits for Advanced Spanish I and II (SPAN-2003 and 2004 in the COL, MSB and NHS; SPAN-2001 and 202 in the SFS).  In order to receive three credits for SPAN-2003 (for COL, MSB, NHS) or SPAN-2001 (for SFS), a student must place into and successfully complete SPAN-2004 or SPAN-2002 respectively.  In order to receive six credits for SPAN-2003 and SPAN-2004 (for COL, MSB, NHS) or SPAN-2001 and SPAN-2002 (for SFS), a student must place into and successfully complete a Spanish course at or above the level of Gateway. Placement is determined by SAT II score or departmental placement exam administered during New Student Orientation. Students who place into SPAN-2001, SPAN-2003, SPAN-2010 or below, as well as students who opt not to continue Spanish coursework at Georgetown, will not receive credit.
  • (International Baccalaureate) Language A – Students with a score of 6 or 7 on the Higher Level exams in languages other than English are eligible for credit.  In order to receive credit, students must place into and successfully complete an appropriate language course at Georgetown (see AP policies for specific languages above for more details).  Placement is determined by departmental language placement exams or SAT II scores for Spanish, French, or Italian.

SFS Oral Proficiency Exam

The Spanish Proficiency Exam is offered every Spring (April) and Fall (November) semester, and again during finals week for SPAN 2161 Oral Review students only.

Inserted here: crystal structures:
Computed powder XRD pattern
Compound: P8H
Radiation: copper Kα
Structure: DFT lattice parameters and positions (PBE)

Cell and atoms:
```
data_P8H
_space_group_name_H-M_alt 'P 1'
_space_group_IT_number 1
_cell_length_a 6.1040
_cell_length_b 6.1554
_cell_length_c 6.6126
_cell_angle_alpha 105.57
_cell_angle_beta 105.13
_cell_angle_gamma 113.70
loop_
_space_group_symop_operation_xyz
'x,y,z'
loop_
_atom_site_label
_atom_site_type_symbol
_atom_site_fract_x
_atom_site_fract_y
_atom_site_fract_z
P1 P 0.0000 0.0000 0.0000
P2 P 0.0015 0.9953 0.4967
P3 P 0.2584 0.0050 0.8142
P4 P 0.2918 0.0508 0.3301
P5 P 0.5052 0.4973 0.4990
P6 P 0.5414 0.4452 0.9988
P7 P 0.8124 0.5625 0.8223
P8 P 0.8149 0.5584 0.3617
H1 H 0.3987 0.5824 0.0021
```

The 6 most intense peaks (5 to 70 degrees two-theta), sorted by position:
(hkl)	d [Å]	Rel. int.
1 -1 0	5.132	100.0
0 2 0	2.554	20.0
1 -1 2	2.522	20.8
2 0 -2	2.494	20.0
2 -2 2	1.922	13.0
-2 2 2	1.919	10.1

Computed powder XRD pattern
Compound: PH2
Radiation: copper Kα
Structure: DFT lattice parameters and positions (PBE)

Cell and atoms:
```
data_PH2
_space_group_name_H-M_alt 'P 1'
_space_group_IT_number 1
_cell_length_a 2.6219
_cell_length_b 4.1688
_cell_length_c 4.1809
_cell_angle_alpha 114.21
_cell_angle_beta 100.12
_cell_angle_gamma 103.37
loop_
_space_group_symop_operation_xyz
'x,y,z'
loop_
_atom_site_label
_atom_site_type_symbol
_atom_site_fract_x
_atom_site_fract_y
_atom_site_fract_z
P1 P 0.0000 0.0000 0.0000
H1 H 0.8324 0.6139 0.9095
H2 H 0.8604 0.9100 0.6200
```

The 6 most intense peaks (5 to 70 degrees two-theta), sorted by position:
(hkl)	d [Å]	Rel. int.
0 0 1	3.631	100.0
0 1 0	3.578	95.6
0 1 -1	3.503	83.5
1 0 0	2.428	65.2
1 0 -1	2.383	30.1
0 2 -1	2.029	32.5

Computed powder XRD pattern
Compound: Pa3P2H6
Radiation: copper Kα
Structure: DFT lattice parameters and positions (PBE)

Cell and atoms:
```
data_Pa3P2H6
_space_group_name_H-M_alt 'P -6 2 m'
_space_group_IT_number 189
_space_group_name_Hall 'P -6 -2'
_cell_length_a 6.8009
_cell_length_b 6.8009
_cell_length_c 3.7040
_cell_angle_alpha 90.00
_cell_angle_beta 90.00
_cell_angle_gamma 120.00
loop_
_atom_site_label
_atom_site_type_symbol
_atom_site_fract_x
_atom_site_fract_y
_atom_site_fract_z
Pa1 Pa 0.0000 0.6442 0.0000
P1 P 0.3333 0.6667 0.5000
H1 H 0.0000 0.3157 0.0000
H2 H 0.0000 0.8049 0.5000
```

The 6 most intense peaks (5 to 70 degrees two-theta), sorted by position:
(hkl)	d [Å]	Rel. int.
0 0 1	3.704	35.6
1 1 0	3.400	92.7
1 1 1	2.505	100.0
3 0 0	1.963	25.3
3 0 1	1.735	24.1
1 1 2	1.626	23.4

Computed powder XRD pattern
Compound: PaPHPd
Radiation: copper Kα
Structure: DFT lattice parameters and positions (PBE)

Cell and atoms:
```
data_PaPHPd
_space_group_name_H-M_alt 'P -6 m 2'
_space_group_IT_number 187
_space_group_name_Hall 'P -6 2'
_cell_length_a 4.1276
_cell_length_b 4.1276
_cell_length_c 4.0058
_cell_angle_alpha 90.00
_cell_angle_beta 90.00
_cell_angle_gamma 120.00
loop_
_atom_site_label
_atom_site_type_symbol
_atom_site_fract_x
_atom_site_fract_y
The crystal structures stop here:

All exams starting in S24 will be in person. Now that we have adjusted academically to COVID, we are returning to the original standards of proficiency pre-COVID.

The Portuguese Proficiency Exam for SFS, CLAS, MSFS, Business students, and program directors is TBD for the Fall 2019 Semester. Students must sign-up in advance to secure a time slot, the sign-up sheet can be found on the Georgetown Spanish & Portuguese Department’s front desk (ICC 403). Undergraduate students must have taken at least ADVANCED PORTUGUESE II in order to take the exam, with the exception of students who has lived abroad in a Portuguese-speaking country, or are native speakers. Undergraduate and Graduate students must also prove that the proficiency exam is a requirement for their program, not just to add to their Curriculum Vitae.

Students may sign up in the Spanish and Portuguese Department (ICC 403)

  • The Oral Proficiency Exam takes 40 minutes and is divided into two parts:
    1. Reading (20 minutes). The examinee will read the article without consulting any dictionary or outside sources. They may take notes on a blank sheet of paper provided, however, they cannot look at the notes page or the article during the interview.
    2. Interview (20 minutes).

To prepare for the expected level of linguistic accuracy and fluency as well as to accumulate the necessary encyclopedic and current knowledge on socio-economic matters related to Latin America and Spain, students should complete the following sequence of SFS language courses: 2001, 2002, and/or 2161, according to your placement and following the guidelines outlined above. For students who meet those guidelines, please click here for more information about the exam.

For questions, please write ONE email to BOTH Dr. Anne Thinglum and Dr. Tatevik Gevorgyan with any questions regarding the exam.

Please visit this page for additional information.

For additional information about the Portuguese Oral Proficiency Exam, please contact the Director of Portuguese Studies, Professor Vivaldo Santos, by email here or (202) 687-5694.

Online Placement Exam

All non-beginner students who plan to take fall semester Spanish courses MUST take the online summer placement exam to determine the appropriate level for course enrollment unless they have taken the SAT II in Spanish (language or literature).

## Unrelated to this piece: data records
<<<
Theoretical powder diffraction line list of Ti3TlH for Cu Kα X-rays, from a DFT-relaxed cell (GGA-PBE, Alexandria).
Peak positions follow from Bragg's law for the DFT cell and can differ from measured ones.

Top 10 peaks for 2θ = 10–90°, low angle first:
13.62 deg, rel. 49, (0 1 0)
26.14 deg, rel. 26, (1 0 1)
27.44 deg, rel. 12, (0 2 0)
29.59 deg, rel. 44, (1 1 1)
37.31 deg, rel. 54, (2 0 0)
38.26 deg, rel. 100, (1 2 1)
39.89 deg, rel. 17, (0 1 2)
46.93 deg, rel. 12, (2 2 0)
67.89 deg, rel. 26, (3 2 -1)
69.79 deg, rel. 16, (2 4 0)

Structure:
```
Ti3TlH
1.0
4.8168 0.0000 0.0000
0.0000 6.5009 0.0000
-0.0092 0.0000 4.8245
Ti Tl H
6 2 2
direct
0.2487 0.0000 0.2468 Ti
0.2500 0.7644 0.7664 Ti
0.2514 0.5288 0.2467 Ti
0.7486 0.5288 0.7533 Ti
0.7500 0.7644 0.2336 Ti
0.7513 0.0000 0.7532 Ti
0.2500 0.2643 0.7495 Tl
0.7500 0.2643 0.2505 Tl
0.0000 0.6570 0.5000 H
0.5000 0.8705 0.5000 H
```


Entry 1:
Diffraction record for KYEr4S8. The X-ray diffraction stick pattern is calculated, not measured: it uses a crystal structure in Alexandria, relaxed with PBE and copper Kα.

Peak list (8 most intense, 2θ from 5° to 70°, sorted by position)
2θ/deg	d (Å)	I/Imax
13.26	6.678	51
21.74	4.088	33
25.57	3.484	100
25.64	3.475	61
30.98	2.887	52
40.57	2.224	54
44.28	2.046	50
44.48	2.037	49

Cell and atoms:
```
data_KYEr4S8
_chemical_formula_sum 'K1 Y1 Er4 S8'
_cell_length_a 8.1831
_cell_length_b 8.1831
_cell_length_c 8.1831
_cell_angle_alpha 59.71
_cell_angle_beta 59.71
_cell_angle_gamma 59.71
_symmetry_space_group_name_H-M 'P 1'
_symmetry_Int_Tables_number 1
loop_
_symmetry_equiv_pos_as_xyz
'x,y,z'
loop_
_atom_site_label
_atom_site_type_symbol
_atom_site_fract_x
_atom_site_fract_y
_atom_site_fract_z
K1 K 0.0000 0.0000 0.0000
Y1 Y 0.6312 0.6312 0.6312
Er1 Er 0.1127 0.6310 0.6310
Er2 Er 0.2517 0.2517 0.2517
Er3 Er 0.6310 0.1127 0.6310
Er4 Er 0.6310 0.6310 0.1127
S1 S 0.3829 0.3829 0.8549
S2 S 0.3829 0.8549 0.3829
S3 S 0.3838 0.3838 0.3838
S4 S 0.4257 0.8617 0.8617
S5 S 0.8549 0.3829 0.3829
S6 S 0.8592 0.8592 0.8592
S7 S 0.8617 0.4257 0.8617
S8 S 0.8617 0.8617 0.4257
```



Entry 2:
Diffraction record for Tb2Ho4In5. The X-ray diffraction stick pattern is calculated, not measured: it uses a crystal structure in Alexandria, relaxed with PBE and copper Kα.

Peak list (8 most intense, 2θ from 5° to 70°, sorted by position)
2θ/deg	d (Å)	I/Imax
16.59	5.344	35
28.77	3.103	31
31.38	2.851	100
32.84	2.727	51
34.78	2.579	34
36.94	2.433	72
37.75	2.383	39
39.07	2.306	32

Cell and atoms:
```
data_Tb2Ho4In5
_chemical_formula_sum 'Tb2 Ho4 In5'
_cell_length_a 11.5393
_cell_length_b 10.7010
_cell_length_c 6.2821
_cell_angle_alpha 81.09
_cell_angle_beta 66.37
_cell_angle_gamma 32.54
_symmetry_space_group_name_H-M 'P 1'
_symmetry_Int_Tables_number 1
loop_
_symmetry_equiv_pos_as_xyz
'x,y,z'
loop_
_atom_site_label
_atom_site_type_symbol
_atom_site_fract_x
_atom_site_fract_y
_atom_site_fract_z
Tb1 Tb 0.1937 0.1937 0.8063
Tb2 Tb 0.8063 0.8063 0.1937
Ho1 Ho 0.2077 0.5342 0.4658
>>>

Students who wish to earn AP credit must take the online placement exam (unless they have a qualifying SAT II score) and take the appropriate course. For additional information about advanced credit, please consult the AP/IB Policies .

In order to take the language placement exam, you must enroll in the “course” on Canvas.

  1. Go to https://georgetown.instructure.com/enroll/T47NYL
  2. Follow prompts to enroll.
  3. Read carefully all the information on the homepage.
  4. Once you have read the instructions, you will find the link for the test at the bottom of the page.
  5. After you submit the last page of the test you will get a point grade. You can always see this result by clicking on “Grades” in the left menu. When done with the test MAKE SURE you go back to the home page and click on the link at the bottom of the page: find out here where to register (Links to an external site) .
  • Make sure that you have a reliable Internet connection. Set aside ample quiet time before you begin the exam so that you can complete it in one sitting; you will not be able to stop and restart once the exam has launched.
  • Close other programs running on the computer. Avoid distractions; focus only on the exam until it is completed.
  • To begin the exam, click the link only once. It may take some time for the exam to load; give it at least one full minute. If, after clicking once, nothing happens for over a minute, contact the UIS Service Center as soon as possible. Do not click the link multiple times: if you do, you will see a message stating that you have already taken the exam and you will not be able to access it again.
  • Do not use the Back and Forward buttons in your browser to move around within the exam. Use the links and buttons in the exam pages to proceed.
  • Do not click the final Save and “submit” button until you are completely finished with the exam.
  • If you encounter a problem or a technical difficulty that prevents you from finishing the exam, contact the UIS Service Center as soon as possible.

Contact information:
UIS Service Center: 202-687-4949 or help@georgetown.edu .
Spanish Department: Email Professor Alfonso Morales-Front .

Proctored Validation Exam

Students who believe they will place out of the College’s foreign language requirement in Spanish, and who do not intend to continue their study of Spanish at Georgetown, should sit for the on-campus proctored confirmation exam during New Student Orientation unless they have a qualifying SAT II score. Students taking this test should bring their Georgetown ID (GUID) to the exam; students will obtain this ID upon their arrival on campus for New Student Orientation.

Please contact Professor Annie Thinglum  in the Department of Spanish and Portuguese for more information.

Structure and theoretical X-ray diffraction stick pattern of NdEr2WO8 (a crystal structure in Alexandria, relaxed with GGA+U; Cu Kα, 1.54184 Å).
Lines closer than 0.1° are merged.

Cell and atoms:
```
NdEr2WO8
1.0
3.5351 -3.5672 0.0000
3.5351 3.5672 0.0000
0.0000 0.0000 6.9541
Nd Er W O
1 2 1 8
Direct
0.0000 0.0000 0.0000
0.5000 0.5000 0.2595
0.5000 0.5000 0.7405
0.0000 0.0000 0.5000
0.1861 0.8139 0.2937
0.1861 0.8139 0.7063
0.2786 0.2786 0.5000
0.3202 0.3202 0.0000
0.6798 0.6798 0.0000
0.7214 0.7214 0.5000
0.8139 0.1861 0.2937
0.8139 0.1861 0.7063
```

Top 6 peaks for 2θ = 15–90°, in order of falling intensity:
| 2theta | d (Å) | Rel. int. |
| --- | --- | --- |
| 31.29 | 2.859 | 100.0 |
| 24.96 | 3.567 | 54.9 |
| 25.19 | 3.535 | 52.6 |
| 48.11 | 1.891 | 38.3 |
| 48.37 | 1.882 | 37.1 |
| 35.76 | 2.511 | 29.3 |

* * * * *

# Na2Ni3RhF12
Simulated XRD peak list, CuKα. Input: the GGA+U geometry in Alexandria.
Peak positions follow from Bragg's law for the DFT cell and can differ from measured ones.

Main lines, by angle (15° ≤ 2θ ≤ 90°):
2θ (°), Rel. int., hkl
15.19, 100, 1 0 1
17.27, 14, 0 1 2
27.91, 35, 0 1 5
28.61, 14, 0 0 6
28.97, 45, 1 1 3
30.65, 63, 2 0 2
46.71, 15, 3 0 3
48.94, 24, 2 0 8
51.56, 30, 2 2 0
52.19, 15, 2 1 7

a b c (Å): 7.0897 7.0897 18.7199
angles (deg): 90.00 90.00 120.00
Space group R-3m (No. 166, hexagonal axes)
One atom of each set of equivalent atoms:
Na  0.0000  0.0000  0.0794 (multiplicity 6)
Ni  0.0000  0.5000  0.0000 (multiplicity 9)
Rh  0.0000  0.0000  0.5000 (multiplicity 3)
F  0.0495  0.5247  0.3611 (multiplicity 18)
F  0.0699  0.5350  0.1088 (multiplicity 18)

* * * * *

Starting from a DFT-relaxed cell (PBE, Alexandria), the PXRD pattern of SmHo4Rh4 was calculated for Cu Kα.

Structure:
Cell: 8.837 8.837 5.597 Å, 90.00 90.00 90.00°
Space group P4_2/n (No. 86, origin choice 2)
Symmetry-distinct sites (fractional):
Sm1 0.250 0.250 0.250 [2 per cell]
Ho1 0.073 0.659 0.162 [8 per cell]
Rh1 0.033 0.623 0.660 [8 per cell]

Main lines, by angle (5° ≤ 2θ ≤ 70°):
(1 1 0), 2θ = 14.2°, rel. 11
(2 1 1), 2θ = 27.6°, rel. 26
(1 3 0), 2θ = 32.0°, rel. 100
(1 0 2), 2θ = 33.6°, rel. 35
(1 2 2), 2θ = 39.5°, rel. 16
(2 3 1), 2θ = 40.2°, rel. 12
(3 0 2), 2θ = 44.7°, rel. 18
(4 2 0), 2θ = 45.9°, rel. 46
(3 2 2), 2θ = 49.4°, rel. 19
(1 4 2), 2θ = 53.9°, rel. 12

=====

Starting from a DFT-relaxed cell (PBE, Alexandria), the PXRD pattern of Np2GaIr3 was calculated for Cu Kα.

Structure:
Cell: 5.5812 5.5812 11.8696 Å, 90.00 90.00 120.00°
Space group R-3m (No. 166, hexagonal axes)
Symmetry-distinct sites (fractional):
Np1 0.0000 0.0000 0.1200 [6 per cell]
Ga1 0.0000 0.0000 0.5000 [3 per cell]
Ir1 0.0000 0.5000 0.0000 [9 per cell]

Main lines, by angle (5° ≤ 2θ ≤ 70°):
(1 1 0), 2θ = 32.1°, rel. 27
(1 0 4), 2θ = 35.5°, rel. 57
(0 2 1), 2θ = 38.0°, rel. 100
(1 1 3), 2θ = 39.5°, rel. 81
(2 0 2), 2θ = 40.3°, rel. 55
(0 1 5), 2θ = 42.4°, rel. 43
(2 1 4), 2θ = 59.4°, rel. 27
(3 0 3), 2θ = 62.2°, rel. 22
(1 2 5), 2θ = 64.3°, rel. 26

Students who have taken the SAT II in Spanish should determine their level as follows:

  • 200-360 SPAN-003 Introductory Spanish I or SPAN-011 Intensive Basic Spanish
  • 370-480 SPAN-004 Introductory Spanish II or SPAN-011 Intensive Basic Spanish
  • 490-550 SPAN-021 Intermediate Spanish I or SPAN-032 Intensive Intermediate Spanish
  • 560-630 SPAN-022 Intermediate Spanish II or SPAN-032 Intensive Intermediate Spanish
  • 640-700 SPAN-103 Advanced Spanish I or SPAN-110 Intensive Advanced Transatlantic Visions
  • 710-740 SPAN-104 Advanced Spanish II or SPAN-110 Intensive Advanced Transatlantic Visions
  • 750-800 SPAN-2** (Any 200 level course)

Students who believe they will place out of the College’s foreign language requirement in Portuguese, and who do not intend to continue their study of Portuguese at Georgetown, should sit for the proctored placement exam during New Student Orientation.

Please contact Professor Vivaldo Santos  in the Department of Spanish and Portuguese for more information.

Native Speaker Exam

The Department of Spanish and Portuguese (henceforth The Department) is the only unit at Georgetown that can certify the native Spanish speaker status of a Georgetown student. Through The Department, Georgetown students who are native Spanish speakers have 3 options to certify their native speaker status. 

Option 1: Presenting an original document proving completion of a high school degree (or equivalent) from an institution located in a Spanish speaking country. The predominant language of instruction in that institution must be Spanish. Since these documents are normally in Spanish The Department usually reviews the documents. Nonetheless, check first with your dean’s office because different schools or programs may have different arrangements with The Department.

Option 2: Complete first the Spanish Validation Exam. Students getting a score above 80% in the Spanish Validation Exam will need to schedule an oral interview with The Department for final confirmation. 

Option 3: SFS/MSFS students can complete the Oral Proficiency Exam. If the panel of two evaluators administering the exam determines that during the oral interview the student has performed as a native speaker, they will mark the appropriate option in the results ballot.

The appropriate member of The Department (Professor Annie Thinglum and Professor Tatevik Gevorgyan) will communicate by email, or exam ballot, to the appropriate dean the results of the assessment. It is up to the different Georgetown schools to determine the administrative weight, meaning, or consequences of the native Spanish speaker status. In some cases it entails the inclusion of this status on the student transcript. For most programs, with this status, students can skip all lower division Spanish classes (Span 001-161) and register in upper level courses. We highly recommend that native speakers who have not been educated in a Spanish-speaking school complete at least one level of Spanish for Native Speakers (1 course is offered each semester).